Public Consultation Summary Report - Summary of Results
Cornwallis Public Comments: First stage categorization (in order of most to least support)
In section 4 all the public and stakeholder submissions and comments have been summarized and categorized. The verbatim submissions will be used by the Department of Natural Resources. They are not being published due to privacy issues. As mentioned, some well-organized groups were better at getting members out to sessions and that is reflected in some of the numbers around points.
*Attendance: 60
*Includes comments from Paper Questionnaires and flip charts
*Numbers indicate the number of individuals making identical comments
How can we best use the 1.5 million acres of Crown land and the associated resources in the Western Region to most beneficially and sustainably grow and diversify Nova Scotia's economy?
Tourism and walking, skiing, canoeing and hunting/ fishing (27)
- Ecotourism 11
- Protect waterways for pristine wilderness fishing and paddling experiences 3
- Non-motorized recreation 2
- Tourism (Milford House) 4
- Parks and Recreation 2
- Hunting, fishing, trapping, outdoors activities: leave access for this 2
- Allow access to areas for historical use of fishing, trapping etc
- Protect lands by policing; keep land for wildlife habitat for hunting, bear-baiting, bear hunts as a business
- Continue to maintain trails and canoe routes that were operated by Bowater/ Annapolis County partnership
Forestry (20)
- Community forests, small scale forestry (using sustainable practices; FSC certified or better). But ensure that community effort can be sustained 9
- Forestry resources should not be under the control of the mills or lumber industry, who would create a monopoly
- No logging
- Cutting wood, let the people use the land
- Operate Sustainable Forest by cutting, silviculture, road building; hire local people to do so and process products locally; create jobs by not spraying hard wood suckers: use men with clearing saws, better for everyone. Use small and big operations
- Keep the 5-6 mills in the region operating
- Forestry practices should at least be FSC certified or better would be NAGVAI standards
- Prevent whole tree harvesting and the break in the nutrient cycle
- Manage harvesting of wood properly
- Forget about large scale biomass
- Fairness in wood allocation. All mills/ companies should have opportunity for crown licence for forestry
- Fair market prices: e.g. stumpage for crown land should be the same as for private woodlot owners
Vehicular, ATV & snowmobile access (11 total)
In favour (6)
- The Medway district is big enough to allow careful trail planning for ATV’s
- Use funds raised (stumpage) to keep access to some roads, not just until wood is gone
- As a hunting guide if I don’t have vehicle access in these new proposed wilderness areas I will be put out of business and if I am not allowed to put bear baits in these areas I will be out of business
- Leave land open for ATV’s to travel so people can fish, hunt and canoe 3
- In order to use wilderness area resources vehicle access needs to be allowed
Against or policy suggestions (5)
- Restrict access of motorized vehicles
- Remove bridges and old Bowater roads
- Decommission some Bowater roads to reduce habitat fragmentation
- Protected means protected - No ATV’s
- Keep the gates closed: unlimited ATV access could ruin land and roads
Balance environmental, social and economic sustainability (6)
- Environment and Economy are linked; social benefit comes from sustainable economy 2
-- Records of crystals, as found in the file --
-- begin --
Here is a relaxed structure of KCa4Si8H16O28F from Alexandria via LeMat-Bulk. Energies are from GGA-PBEsol.

Geometry as POSCAR:
```
KCa4Si8H16O28F
1.0
-2.539 -7.650 -3.767
5.052 -4.515 5.766
-12.201 -0.877 10.003
Si H O Ca F K
16 32 56 8 2 2
Direct
0.917 0.231 0.189 Si
0.731 0.417 0.311 Si
0.083 0.769 0.811 Si
0.917 0.231 0.811 Si
0.269 0.583 0.311 Si
0.769 0.917 0.189 Si
0.583 0.731 0.311 Si
0.231 0.083 0.811 Si
0.417 0.269 0.689 Si
0.417 0.269 0.311 Si
0.731 0.417 0.689 Si
0.769 0.917 0.811 Si
0.583 0.731 0.689 Si
0.231 0.083 0.189 Si
0.269 0.583 0.689 Si
0.083 0.769 0.189 Si
0.928 0.723 0.650 H
0.168 0.556 0.912 H
0.332 0.056 0.412 H
0.556 0.832 0.912 H
0.332 0.056 0.588 H
0.428 0.777 0.150 H
0.056 0.668 0.412 H
0.668 0.944 0.588 H
0.944 0.332 0.588 H
0.072 0.277 0.350 H
0.168 0.556 0.088 H
0.777 0.572 0.150 H
0.223 0.428 0.850 H
0.277 0.928 0.350 H
0.277 0.928 0.650 H
0.944 0.332 0.412 H
0.723 0.072 0.350 H
0.572 0.223 0.850 H
0.056 0.668 0.588 H
0.444 0.168 0.912 H
0.723 0.072 0.650 H
0.928 0.723 0.350 H
0.223 0.428 0.150 H
0.777 0.572 0.850 H
0.668 0.944 0.412 H
0.444 0.168 0.088 H
0.556 0.832 0.088 H
0.572 0.223 0.150 H
0.832 0.444 0.912 H
0.072 0.277 0.650 H
0.832 0.444 0.088 H
0.428 0.777 0.850 H
0.714 0.049 0.589 O
0.771 0.399 0.410 O
0.809 0.089 0.783 O
0.370 0.130 0.250 O
0.729 0.899 0.910 O
0.214 0.451 0.911 O
0.101 0.729 0.090 O
0.399 0.229 0.590 O
0.691 0.589 0.283 O
0.309 0.411 0.717 O
0.399 0.229 0.410 O
0.191 0.911 0.783 O
0.870 0.370 0.750 O
0.229 0.601 0.590 O
0.630 0.870 0.750 O
0.286 0.951 0.589 O
0.951 0.714 0.411 O
0.630 0.870 0.250 O
0.729 0.899 0.090 O
0.786 0.549 0.089 O
0.049 0.286 0.411 O
0.601 0.771 0.590 O
0.049 0.286 0.589 O
0.370 0.130 0.750 O
0.714 0.049 0.411 O
0.214 0.451 0.089 O
0.130 0.630 0.250 O
0.271 0.101 0.090 O
0.951 0.714 0.589 O
0.089 0.191 0.217 O
0.589 0.309 0.283 O
0.451 0.786 0.089 O
0.601 0.771 0.410 O
0.101 0.729 0.910 O
0.771 0.399 0.590 O
0.549 0.214 0.911 O
0.271 0.101 0.910 O
0.191 0.911 0.217 O
0.899 0.271 0.910 O
0.870 0.370 0.250 O
0.589 0.309 0.717 O
0.309 0.411 0.283 O
0.451 0.786 0.911 O
0.691 0.589 0.717 O
0.411 0.691 0.283 O
0.786 0.549 0.911 O
0.549 0.214 0.089 O
0.411 0.691 0.717 O
0.286 0.951 0.411 O
0.911 0.809 0.217 O
0.089 0.191 0.783 O
0.809 0.089 0.217 O
0.911 0.809 0.783 O
0.229 0.601 0.410 O
0.899 0.271 0.090 O
0.130 0.630 0.750 O
0.386 0.749 0.500 Ca
0.749 0.614 0.500 Ca
0.751 0.114 0.000 Ca
0.614 0.251 0.500 Ca
0.249 0.886 0.000 Ca
0.114 0.249 0.000 Ca
0.251 0.386 0.500 Ca
0.886 0.751 0.000 Ca
0.000 0.000 0.000 F
0.500 0.500 0.500 F
0.500 0.500 0.000 K
0.000 0.000 0.500 K
```

Computed properties:
Calculated total energy = -383.57 eV/f.u.
Magnetization = 0.0 μB/cell



Here is a relaxed structure of CaHNF2 from Alexandria via LeMat-Bulk. Energies are from GGA-PBEsol.

Geometry as POSCAR:
```
CaHNF2
1.0
-1.686 2.491 -3.111
1.049 -2.981 -2.956
-5.124 -2.540 0.743
H F N Ca
1 2 1 1
Direct
0.500 0.500 0.500 H
0.000 0.500 0.000 F
0.500 0.000 0.000 F
0.000 0.000 0.500 N
-- stop --
- Development that includes all externalized costs (=public subsidy) in its cost-benefit analysis
- Well considered development in response to informed public choice
- Maximize protection of the environment while allowing for sustainable, responsible industry
- Maximize economic/social utility of land in each area
Resource extraction(1)
Other (6)
- Think outside the box
- Value added products
- Take advantage of Acadian forest mix for employment and industry
- Other resources should be looked into such as: Wild mushroom market, Maple syrup markets, Medical markets – from plants in the woods
- Improve youth employment rates
- Keep out the large companies and businesses
What activities would be the most effective use of Crown land in the Western Region that would generate the most sustainable economic, social and environmental benefits for your community and Nova Scotia? Where would you locate these activities on these Crown lands?
Note: Comments without specific local geographic references were included under Question 1 above. Broad policy suggestions were included under Question 3 below.
- Limit access to non-consumptive use in certain waterways (Mersey, Milford lakes, Crocket Lakes)
- Community forestry around Medway district. Responsible, sustainable forestry, have a board with interested stakeholders committed to the land. Use areas for different purposes (forestry, tourism, protect species at risk). Will help with wildlife corridors across Tobeatic Wilderness Areas, Medway Wilderness Areas, McGill Lake Wilderness Area, and Cloud Lake Wilderness Area
- Extend the proposed Nictaux River parcel to the highway by using crown land around there. This will provide easy access to the new proposed wilderness area
- Maintain access to camp on Lake Mulgrave via former Bowater road that passes between Northeast Lakes
- Tourism opportunities related to Milford House are included in Question 1 responses
- Protection for SAR noted under Question 3 include references made by a number of people to areas around Gana, Thomas, Heier, Boot, Hang, Fisher and Thomas Lakes
What other points do you feel are the most important for the Department to consider as it develops the land and resource management plan?
Protected areas (20)
- Protected areas 15
-Including major headwaters, waterways, wildlife corridors + connectivity, natural landscapes and areas, old forest, unique ecozones, species at risk (SAR) including Blandings Turtle, dragonflies, rare plants in/ around Gana, Thomas, Heier, Boot, Hang, Fisher and Thomas Lakes
- Take this opportunity to exceed 12% target for protected lands
- Protect the forest from the Nova Scotians
- Close access to old growth on good all weather roads
- Protect areas included in Parks planning process
- Railroad is not proper, look at Ontario, New Brunswick. Have wilderness areas
Education and knowledge creation to create economic advantage (5)
- All lands should be used to educate Nova Scotians in some way 2
- Create more links between economic and scholastic communities. Create integrated relationships that create knowledge spill over unique to our economy creating competitive advantage
- Link university programs matched with alternative energy policies and technology
- Try to push educational uses of land, if its protected have it available for study, if it’s not target growth industries and companies willing to share educational responsibilities with government and scholastic branches
General access (5)
- Make sure all Nova Scotians have access for all kinds of activities. Lands can be protected with guidelines to allow everyone to use them. Such as restricting motorized access only partially (spring fire hazard)
- Crown land should have existing access maintained as much as possible without conflicting with designated uses 2
- If protected areas proceed then allow access through the existing roads 2
Vehicular, ATV & snowmobile access (2)
- Remove roads from wilderness areas
- Need a permit system for ATV use
Environment and sustainable forest management (3)
- Incorporate the CFS criteria & indicators for sustainable forest management
- Increase old growth forest % in the province; Increase forest natural age class
- Beware of the degrading environmental benchmark
Other (4)
- Assess if NS Gov is able to capitalize on each opportunity on its own. If not then an investor should be found. E.g. Wind turbines
- Allow free use of crown land for marketing of small business along highways
- DOE & NR&R connect and communicate more
- Focus on integration all stakeholders into decisions. Not necessarily meaning ask permission on every choice, but always communicating so none of your relationships erode